Course Schedule

(This schedule and related class downloads are subject to change without notice. You are responsible for knowledge of any changes.) Text: Mindess, A. (2006). Reading Between the Signs: Intercultural Communication for Sign Language Interpreters. Boston: Nicholas Brealey Publishing/Intercultural Press.

Semester Calendar (This schedule is subject to frequent changes and updates; please check back often.)

Topic/Date Assignments/Exams Readings/Content

Definitions and the study of culture

Monday, January 10
Wednesday, January 12
Monday, January 17
Jan 10
Chapter 2 outline due
Student contract due
Mindess Chapter 1 (pp. 3–16) (We’re not going to discuss this, but the reading is recommended)
Mindess Chapter 2 (pp. 17–38)
Culture & Community
Interesting comparative chart of Deaf and ethnic cultures found over at (a subsite of Mind the lack of credible references.

Topics and discussion in intercultural communications

Wednesday, January 19
Monday, January 24
Jan 19
Chapter 3 outline due
Mindess Chapter 3 (pp. 39–64)
The surprising truth about what motivates us
An illustrated version of a talk given by Dan Pink to the Royal Society for the encouragement of Arts, Manufactures, and Commerce (RSA) about what motivates people. Excellent companion to our discussion about persuasion, rhetoric, and organizing information for high- and low-context peoples. While the illustrations are awesome, the talk materials are even better. (; 10:48)

American hearing cultural behaviors and tendencies

Wednesday, January 26
Monday, January 31
Jan 26
Chapter 4 outline due
Mindess Chapter 4 (pp. 65–75)

American Deaf cultural behaviors, morès, & reactions to technology

Wednesday, February 2
Monday, February 7
Wednesday, February 9
Feb 2
Chapter 5 outline due
Feb 9
Chapter 7 outline due
Mindess Chapter 5 (pp. 76–119)
Mindess Chapter 7 (pp. 143–156)
Mindess Chapter 6 (pp. 120–142) (We’re not going to discuss this, but the reading is recommended)
Origins, Formations, Rules, and (Mis)Usage of ASL Name Signs (Stringham)
This handout discusses traditional rules and applications of name signs in the Deaf Community. It also discusses reasons for possible miscreation and/or misapplications of name signs. For use with Mindess Chapter 5. 90KB.
Deafness as Culture (Dolnick)
An article from The Atlantic which discusses the viewpoints of Deaf people on such topics as a sociocultural (versus pathological) perspective on deafness, speechreading and speech training, cochlear implants, and the cognitive importance of American Sign Language. (Published citation/reference: Dolnick, E. (1983). "Deafness as Culture." The Atlantic, 272(3), p. 37–53). 3.1MB
Being Deaf
Self-written blog entry-cum-memoir about a young coder/developer’s experiences as a deaf person in a startup web company. The author is not Deaf, but deaf and his narrative, while not indicative of a Deaf/ASL-using person, nonetheless is an interesting view of general deafness and its perception by both d/Deaf and non-deaf people.
Deafhood (in the context of enculuration experiences)
Experiencing Deafhood (in BSL with English subtitles)
“Experiencing Deafhood, directed by Haaris Sheikh explores the concept of Deafhood, a term coined by Dr Paddy Ladd at the University of Bristol. This documentary showcases footage in Irish Sign Language and British Sign Language with English voiceovers in which we trace the educational, cultural identity and employment journeys of people from the Deaf community.” 55:42.
Deafhood Discussions
Ongoing ASL interpretations/translations of sections of Ladd’s Deafhood book. Discusses various components of the theory in an attempt to recreate the printed book with editorial context.
Characteristics of oppressed peoples on the interpreting context (Baker-Shenk)
Most of this article discusses historical and pattern discoursal and cultural characteristics of oppressed peoples. Finally, and most relevantly, rationale is given for why this impacts SL interpreters. (Published citation/reference: Baker-Shenk, C. (1985). Characteristics of oppressed and oppressor peoples: Their effect on the interpreting context. Proceedings of the 1985 RID Convention, RID Publications.) 1.5MB

Exam 1

<<<
This record from Alexandria describes a relaxed structure of Zr2TaPb. The functional is PBE.

```
Zr2TaPb
1.0
5.0620 0.0000 0.0000
0.0000 3.2112 -0.0136
0.0000 0.5827 5.4256
Zr Pb Ta
2 1 1
Direct
0.0000 0.0506 0.9436
0.5000 0.2054 0.2962
0.0000 0.6359 0.4595
0.5000 0.6081 0.8008
```

Symmetry: Pm
Formation enthalpy at 0 K (eV per atom): 0.0553
VASP energy (eV/atom): -8.109

* * * * *

(1)
A relaxed structure of Y2TaSbN, computed with PBE-GGA.

```
data_Y2TaSbN
_cell_length_a 5.511
_cell_length_b 5.511
_cell_length_c 5.179
_cell_angle_alpha 90.00
_cell_angle_beta 90.00
_cell_angle_gamma 90.00
_symmetry_space_group_name_H-M 'P 4/m m m'
_symmetry_Int_Tables_number 123
_symmetry_space_group_name_Hall '-P 4 2'
loop_
_atom_site_label
_atom_site_type_symbol
_atom_site_fract_x
_atom_site_fract_y
_atom_site_fract_z
Y1 Y 0.000 0.500 0.000
Ta1 Ta 0.000 0.000 0.000
Sb1 Sb 0.000 0.000 0.500
N1 N 0.500 0.500 0.500
```

Properties
* E: -6.14 eV/atom

***

(2)
A relaxed structure of AlRh, computed with PBE-GGA.

```
data_AlRh
_cell_length_a 2.943
_cell_length_b 4.568
_cell_length_c 4.244
_cell_angle_alpha 90.00
_cell_angle_beta 90.00
_cell_angle_gamma 90.00
_symmetry_space_group_name_H-M 'P m m n'
_symmetry_Int_Tables_number 59
loop_
_symmetry_equiv_pos_as_xyz
'x,y,z'
'-x,-y,-z'
'-x+1/2,-y+1/2,z'
'x+1/2,y+1/2,-z'
'x+1/2,-y,-z'
'-x+1/2,y,z'
'-x,y+1/2,-z'
'x,-y+1/2,z'
loop_
_atom_site_label
_atom_site_type_symbol
_atom_site_fract_x
_atom_site_fract_y
_atom_site_fract_z
Al1 Al 0.250 0.250 0.110
Rh1 Rh 0.250 0.750 0.384
```

Properties
* E: -6.30 eV/atom
* formation energy from the elements: -1.5 eV per formula unit

***

(3)
A relaxed structure of ScFe2Ag, computed with PBE-GGA.

```
data_ScFe2Ag
_cell_length_a 2.9587
_cell_length_b 2.9587
_cell_length_c 25.6188
_cell_angle_alpha 90.00
_cell_angle_beta 90.00
_cell_angle_gamma 120.00
_symmetry_space_group_name_H-M 'R 3 m'
_symmetry_Int_Tables_number 160
_symmetry_space_group_name_Hall 'R 3 -2"'
loop_
_atom_site_label
_atom_site_type_symbol
_atom_site_fract_x
_atom_site_fract_y
_atom_site_fract_z
Sc1 Sc 0.0000 0.0000 0.0000
Fe1 Fe 0.0000 0.0000 0.2513
Fe2 Fe 0.0000 0.0000 0.5173
Ag1 Ag 0.0000 0.0000 0.7640
```

Properties
* E: -6.26 eV/atom
* formation energy from the elements: 1.0 eV per formula unit

***

(4)
A relaxed structure of Sc2CuSe, computed with PBE-GGA.

```
data_Sc2CuSe
_cell_length_a 3.772
_cell_length_b 3.821
_cell_length_c 5.486
_cell_angle_alpha 90.00
_cell_angle_beta 110.11
_cell_angle_gamma 90.00
_symmetry_space_group_name_H-M 'P 1 m 1'
_symmetry_Int_Tables_number 6
loop_
_symmetry_equiv_pos_as_xyz
'x,y,z'
'x,-y,z'
loop_
_atom_site_label
_atom_site_type_symbol
_atom_site_fract_x
_atom_site_fract_y
_atom_site_fract_z
Sc1 Sc 0.000 0.000 0.000
Sc2 Sc 0.293 0.500 0.584
Cu1 Cu 0.740 0.000 0.476
Se1 Se 0.564 0.500 0.128
```

Properties
* E: -5.87 eV/atom

***

(5)
A relaxed structure of HoGa2Ni5, computed with PBE-GGA.

```
data_HoGa2Ni5
_cell_length_a 3.619
_cell_length_b 6.634
_cell_length_c 9.458
>>>

Monday, February 14
Due February 18, 5:00 pm
Chapters 2, 3, 4, 5, 7
Praxis: Observing Deaf cultural values in a discourse
Feb 22
Post/Discussion 1 due
Wednesday, February 16
Monday, February 21
Wednesday, February 23

The impact of cultural differences on interpreting interactions

Monday, February 28
Wednesday, March 2
Feb 28
Chapter 8 outline due
Midtem evaluation due
Mindess Chapter 8 (pp. 157–176)
Mindess Chapter 9 (pp. 177–188) (We’re not going to discuss this, but the reading is recommended)
Third Culture: Working Together (Bienvenu)
Printed in the RID’s 1987 Journal of Interpretation (Published citation/reference: Bienvenu, M. J. (1987). Third Culture: Working Together. Journal of Interpretation, RID Publications), this article by Bienvenu addresses the issues that exist in the overlap between Deaf people and hearing “professionals” (hence, “third culture”) and discusses a more collaborative working relationship. 2.6MB
Roles of community interpreters seen by medical personnel (Leanza)
This article looks at each participant perspective—pediatrician, interpreter, and client— in a spoken language interpreting event. The data and findings are very relevant to SL interpreters. (Published citation/reference: Leanza, Y. (2005). Roles of community interpreters in pediatrics as seen by interpreters, physicians and researchers. Interpreting, 7(2), 167–192.) 279KB.
Issues and implications of Deaf culture in therapy (Williams & Abeles)
Deaf culture provides unique challenges that can impact standard therapeutic teechniques. This article addresses issues regarding the ability of hearing therapists to work effectively with Deaf clients. (Published citation/reference: Williams, C. & and Abeles, N. (2004). Issues and implications of Deaf culture in therapy. Professional psychology: Research and practice, 35(6), 643–648.) 111KB.
Interpreters, Conversational Style, and Gender at Work (Morgan)
This is chapter 5 in Hauser (2008) Deaf Professionals and Designated Interpreters by Elizabeth Morgan. This reading addresses the concept of gender discoursal patterns and the role of gender in creating power/less language. 4.4MB
Interpreters working in Mainstreamed (Educational) Settings
Interesting blog post discussing the concept of “learned helplessness” (cf. “hostile dependency,” which we discuss in ASL 3310, Stewart, Schein & Cartwright (2004), chapter 6) and how interpreters in K-12 settings can, when their roles are not properly defined, contribute to a student’s over-dependency on a service provider. Good read.

Techniques for cultural adjustments

Monday, March 7
Wednesday, March 11
Mar 7
Chapter 11 outline due
Mindess Chapter 11 (pp. 218–238)
The Deaf Professional—Designated Interpreter Model (Hauser & Hauser)
Hauser, Finch, & Hauser is arguably the most important volume regarding the dynamic of Deaf professionals and interpreters printed in the last five years. Focus on pp. 14–17 which discuss specific types of cultural adjustments that 1) are necessary and 2) may be outside the traditional framework of the RID CPC. (Published citation/reference: Hauser, A. B. &, Hauser, P. C. (2008). The Deaf Professional—Designated Interpreter Model. In Deaf professionals and designated interpreters: A new paradigm, (P. C. Hauser, K. L. Finch, & A. B. Hauser, eds.) 3–21.) 3.3MB
Interview with Leah Katz-Hernandez, White House West Wing Receptionist
This interview with Leah Katz-Hernandez describes her everyday work as the new White House West Wing receptionist. Stellar example of how SL interpreting is moving away from the traditional spoken English-to-SL flow and more in favor of Deaf professionals.
Interpreting Culturally Rich Realities: Research Implications for Successful Interpretations (Cokely)
This is a pre-published version of this article by Dennis Cokely, Dean of the ASL Program at Northeastern University, regarding meaning in ASL vocabularies and interpretations. (Published citation/reference: Cokely, D. (2001). Interpreting culturally rich realities: Research implications for successful interpretations. Journal of Interpretation, 2001.) This article addresses the concept of intent in culturally-laden signs. 1.0MB
STATE-SCHOOL (Editor’s Comments; Cokely)
Dennis Cokely discusses the preeminence of bicultural competence in rendering an interpretation for the ASL sign STATE-SCHOOL. He posits that a significant amount of cultural adjustment may be required to produce a more equivalent spoken English interpretation. Compare with Cokely 2001 (above). (Published citation/reference: Cokely, D. (1982). Editor’s Comments. The Reflector: A Journal for Sign Language Teachers and Interpreters, 6(1).) 1.3MB
Praxis: Translation and meaning derivation
Monday, March 14
Wednesday, March 16
Monday, March 21
Identifying Subjects and Objects in American Sign Language (Stringham)

Exam 2

Wednesday, March 21
Due March 25, 5:00 pm
Chapters 8, 11 + translation/meaning

Crystal structures, kept here for reference =
<<<
# Ho2PdAu | Alexandria | GGA-PBE | optimized geometry
data_Ho2PdAu
_chemical_formula_sum 'Ho2 Pd1 Au1'
_space_group_name_H-M_alt 'P 1'
_space_group_IT_number 1
_cell_length_a 7.6387
_cell_length_b 7.6387
_cell_length_c 7.6387
_cell_angle_alpha 30.11
_cell_angle_beta 30.11
_cell_angle_gamma 30.11
loop_
_space_group_symop_operation_xyz
'x,y,z'
loop_
_atom_site_label
_atom_site_type_symbol
_atom_site_fract_x
_atom_site_fract_y
_atom_site_fract_z
Ho1 Ho 0.0000 0.0000 0.0000
Ho2 Ho 0.1621 0.1621 0.1621
Pd1 Pd 0.7462 0.7462 0.7462
Au1 Au 0.5808 0.5808 0.5808
# D(E_F), states/eV/f.u.: 2.4
# Energy of formation, eV per atom: -0.7226
# Magnetic moment, μB per atom: 0.000

* * * * *

Here is a relaxed structure of Rb2AlBSe4 from the Alexandria database. Energies are from PBE.

abc: 5.828 7.583 12.698
angles: 84.94 76.73 67.40
Fractional positions:
Rb: 0.180 0.000 0.640
Rb: 0.820 0.000 0.360
Rb: 0.570 0.500 0.860
Rb: 0.930 0.500 0.140
Al: 0.750 0.500 0.500
Al: 0.000 0.000 0.000
B: 0.250 0.500 0.500
B: 0.500 0.000 0.000
Se: 0.323 0.828 0.098
Se: 0.248 0.172 0.902
Se: 0.850 0.828 0.902
Se: 0.579 0.172 0.098
Se: 0.427 0.672 0.402
Se: 0.502 0.328 0.598
Se: 0.900 0.672 0.598
Se: 0.171 0.328 0.402

Values from the calculation:
energy relative to the elements, uncorrected = -853 meV per atom
VASP energy = -4.139 eV per atom
space group = Fddd (70)
>>>

The interpreter's role and responsibilities

Wednesday, March 23
Monday, March 28
Mar 23
Chapter 10 outline due
Mindess Chapter 10 (pp. 189–217)
Interpreting: The culture of artful mediation (Atwood & Gray)
Atwood and Gray discuss the role of a SL interpreter as mediator. Contrast this with Mindess’ position in Chapter 10 that interpeters are not mediators. (Published citation/reference: Atwood, A. & Gray, D. (1985). Interpreting: The culture of artful mediation. Proceedings of the 1985 RID Convention, RID Publications.) 2.3MB
The Interpreter as Cultural Mediator (Pistillo)
As does Atwood & Gray, Giovanna Pistillo discusses interpreters as cultural mediators. Contrast this with Mindess’ position in Chapter 10 that interpeters are not mediators.
Third Culture: Making it Work (Sherwood)
Printed in the RID’s 1987 Journal of Interpretation (Published citation/reference: Sherwood, B. (1987). Third culture: Making it work. Journal of Interpretation, RID Publications), this article by Sherwood continues the theme of third (or overlapping) cultures by discussing a history of the interpreting community, positing ethnography and ethnocentrism in the SL interpreting framework, and posits a handful of behaviors for SL interpreters to create a better interpretative experience. 2.3MB
Praxis: Linguistic differences & contextualization
Mar 28
Post/Discussion 2 due
Wednesday, March 30
Monday, April 4
Linguistic Differences Between ASL and English (Stringham)
This handout compares and contrasts needed linguistic (or “form”) adjustments for interpreting between ASL and English. For class discussion only; not for reproduction or distribution. 24KB
Contextualization (Stringham)
This handout discusses miscues we make while interpreting and explains ten types of contextualization strategies. 56KB
Formality registers (Stringham)
Name signs (Stringham)

Interpreting in a virtual world

Wednesday, April 6
Monday, April 11
Apr 6
Chapter 12 outline due
Mindess Chapter 12 (pp. 239–252)
Steps Toward Identifying Effective Practices in Video Remote Interpreting (2010)
Steps Toward Identifying Effective Practices in VRS Interpreting (2008)
VRS interpreting is a rapidly evolving subfield and it's associated literature is lacking in depth and longitude. This 2008 report discusses what are (were?) best practices in VRS interpreting environments.
Video Relay Services: Interpreting Task Analysis Research Report
This state-of-the-union report for the VRS industry examines participants, perspectives, competencies, and call patterns of the video relay industry. (Published citation/reference: Taylor, M. M. (2005). Video Relay Services: Interpreting Task Analysis Research Report. Distance Opportunities for Interpreter Training Center, Denver, Colorado.

Interpreters and practicing cultural sensitivities

Wednesday, April 13
Monday, April 18
Apr 13
Chapter 13 outline due
Mindess Chapter 13 (pp. 253–274)

Final Exam

Thursday, April 21
Due April 26, 12:00 pm
Apr 20
All additional assignments/projects due
Chapters 10, 12, 13 + comprehensive